Janine Davis, Courtney Clayton and John Broome’s article titled “Thinking like researchers: Action research and its impact on novice teachers’ thinking” was recently published in Educational Action Research. Full article can be found at http://www.tandfonline.com/eprint/dxsxQffQmWmfXxZhFXti/full
McCall, Hydorn and Clayton Receive Grant
Dr. Venitta McCall, professor of the College of Education, Dr. Debra Hydorn, professor of mathematics and Dr. Courtney Clayton, assistant professor of the College of Education have received a $35,600 grant from the Virginia Department of Education. The purpose of the grant is to train 30 teachers from critical teacher shortage areas in Spotsylvania County, Stafford County and Fredericskburg City to become Clinical Faculty members for the College of Education.
Selected teachers will be trained in effective mentoring practices, in best practices for instructing English Language Learners and in using learning analytics – the appropriate collection, use and analysis of data to facilitate instructional improvement. Research has shown that having highly skilled Clinical Faculty is a key component in enhancing teacher retention.
Clayton to Serve as an Invited Reviewer
Courtney Clayton, Assistant Professor in the College of Education, will serve as an invited reviewer for a special issue of the Educational Action Research journal to be published early next year. Educational Action Research is concerned with exploring the dialogue between research and practice in educational settings. http://www.tandfonline.com/action/journalInformation?show=aimsScope&journalCode=reac20#.VFvwF4fn07A
COE Faculty Present at AERA Conference
Janine Davis, Courtney Clayton, and John Broome, all assistant professors in the Department of Curriculum and Instruction, presented their research at the annual conference of the American Educational Research Association on “The Power of Educational Research for Innovation in Practice and Policy” in Philadelphia on April 6, 2014. Their study investigates the ways that action research impacts professional identity among preservice teachers.
AERA is concerned with improving the educational process by encouraging scholarly inquiry related to education and evaluation and by promoting the dissemination and practical application of research results. AERA is the most prominent international professional organization for educational researchers, with the primary goal of advancing educational research and its practical application. Its more than 25,000 members are educators; administrators; directors of research; persons working with testing or evaluation in federal, state and local agencies; counselors; evaluators; graduate students; and behavioral scientists.
Clayton Publishes Handbook Chapter
Courtney Clayton, Assistant Professor of Education, has published a chapter in the SAGE Research Methods Cases handbook. Her chapter focuses on how to use Constructivist Grounded Theory in Qualitative Research. SAGE Research Methods Cases is a collection of case studies of real social research, specially commissioned and designed to help students and researchers understand abstract methodological concepts in practice.
Clayton Contributes to Research Handbook
Courtney Clayton, assistant professor in the College of Education, contributed a case study to SAGE Cases In Methodology Handbook. SAGE Cases in Methodology will comprise of a unique collection of case studies for use in the teaching of research methods. The goal of the handbook is to provide students and faculty with examples of methods in action and research in action drawn from real research projects that can support teaching and learning in research methods.
Courtney Clayton Publishes Article
Courtney Clayton, Assistant Professor of Education, publishes her article “Exemplary Teachers of English Language Learners: A Knowledge Base” in the 2013 Fall Issue of the Journal of Research in Education. The Journal of Research in Education (JRE) is a peer-reviewed journal that provides a forum for sharing scholarship among researchers and practitioners in education.
Courtney Clayton and George Meadows Publish Article
Courtney Clayton, Assistant Professor of Education, and George Meadows, Professor of Education, published their article, Action Research in Preservice Teacher Education, in the Spring 2013 volume of The Teacher Educators’ Journal. The journal is published by the Association of Teacher Educators in Virginia. The Association of Teacher Educators was founded in 1920 and is an individual membership organization devoted solely to the improvement of teacher education both for school-based and post secondary teacher educators. ATE members represent over 700 colleges and universities, over 500 major school systems, and the majority of state departments of education.
• Here the piece breaks off for materials data:
/*
This entry pairs a crystal structure of PaGa3Ir3 with its simulated powder diffraction line list. Radiation: Cu Kα (λ = 1.5418 Å). Structure: a DFT-relaxed cell (PBE, Alexandria).

Structure:
Cell lengths 6.7370, 6.7370, 6.7370 Å; angles 90.00, 90.00, 90.00 degrees
Space group Pm-3n (No. 223)
Unique sites:
Pa (0.0000, 0.0000, 0.0000)
Ga (0.0000, 0.2500, 0.5000)
Ir (0.0000, 0.5000, 0.2500)

Largest 10 diffraction maxima, by angle, 2θ = 10–90°:
2theta, d (Å), I_rel
26.46, 3.368, 42
29.65, 3.013, 28
32.56, 2.750, 100
46.71, 1.945, 16
50.70, 1.801, 59
54.48, 1.684, 25
61.56, 1.506, 16
77.62, 1.230, 17
80.68, 1.191, 16
89.72, 1.093, 19
*/
Courtney Clayton Presents at VATESOL Conference
Courtney Clayton, assistant professor of education, presented her research at the annual VATESOL conference. The presentation was entitled “Using Action Research to Improve Instruction for English Language Learners”. She presented with one of her former M.S. in Elementary Education students whose action research project focused on improving writing skills for English Language Learners using dialogue journals through EduBlogs.
VATESOL is a professional organization dedicated to promoting professional development, strengthening instruction, and supporting research opportunities at all levels for teachers and administrators of ESL/EFL/ESOL.